Birth chart of Sarah Jessica Parker Astrology horoscope

Astrology and natal chart of Sarah Jessica Parker, born on 1965/03/25 Transits and Ephemerides Sat. 30 Dec., 02:43 AM UT Moon Phase Waning Moon, 91.07% Waning Gibbous Thu. 11 Jan., 11:58 AM UT Sarah Jessica Parker: Astrological Article and Chart Sarah Jessica Parker (born March 25, 1965) is an American actress, model, singer and producer.She is known for her leading role as Carrie Bradshaw on the HBO television series Sex and the City (1998-2004), for which she won four Golden Globe Awards, three Screen Actors Guild Awards, and two Emmy Awards.

+++
Sr2LiZrCrO6: theoretical powder diffraction line list (CuKα), based on a cell relaxed with GGA+U.
No peak broadening, texture or thermal motion is included.

Cell and atoms:
abc: 6.110 6.110 6.110
angles: 55.47 55.47 55.47
Element x y z (fractional)
Sr  0.000  0.000  0.000
Sr  0.468  0.468  0.468
Li  0.836  0.836  0.836
Zr  0.210  0.210  0.210
Cr  0.691  0.691  0.691
O  0.453  0.945  0.945
O  0.455  0.455  0.936
O  0.455  0.936  0.455
O  0.936  0.455  0.455
O  0.945  0.453  0.945
O  0.945  0.945  0.453

Largest 10 diffraction maxima, low angle first, 2θ from 5° to 70°:
| 2θ (°) | I (rel.) |
| --- | --- |
| 21.39 | 145 |
| 29.38 | 849 |
+++
## So much for the data records

Sarah Jessica Parker Birth Chart Horoscope, Date of Birth, Astro

"Sarah Jessica Parker, horoscope for birth date 25 March 1965, born in Nelsonville, with Astrodatabank biography" Parker, Sarah Jessica natal chart (noon, no houses) natal chart English style (noon, no houses) add Sarah Jessica Parker to 'my astro' Sarah Jessica Parker (2018) photo: Georges Biard, license cc-by-sa-4. Biography Sarah Jessica Parker - Birth Chart Gender: Female Date of Birth: 25 March 1965 - 09:00h Birth place: Nelsonville, Ohio Country: US, United States Age: 58 years Sun: Ari Moon: Cap ASC: Gem Life Path: 4 Compatibility Occupation: actress Sarah Jessica Parker - Astrology Birth Chart, Horoscope Date of Birth (local time): Sarah Jessica Parker - natal chart calculation Date of Birth: March 25, 1965, time 9:00 (GMT -5) Place of birth: Nelsonville, USA Coordinates: latitude 39°n28', longitude 82°w14' House system: Placidus Contents Transits Change Sarah Jessica Parker - interpretation of your natal chart 58 years old Zodiac Sign Aries Chart Settings Zodiac System House System Aspect Levels: Major Minor 12 13 15 0 d 5 e 22 24 20 12 d 11 20 Sarah Jessica Parker's astrology birth chart FAQs

Birth chart of Sarah Jessica Parker Astrology horoscope

Sarah Jessica Parker's Birth chart, kundli, astrology data and forecast, love and romance, relationship compatibility, and important life phases and events. Sarah Jessica Parker's birth date, time of birth and place of birth — myAstropedia. Astrological Natal Chart Sarah Jessica Parker Born at Nelsonville, USA Thursday, March 25, 1965 12:00 (time zone = GMT -5 hours) 82w14, 39n28 PLANETARY ASPECTS This page is one of many thousand pages at Astrodienst's website. Get your free horoscope - and much more! Astrodienst AG in Zürich, Switzerland provides the world's best astrology site for free horoscopes, professional astrological reports and information about astrology. About Sarah Jessica Parker. Sarah Jessica Parker was born on March 25, 1965. Her sun sign or zodiac sign is Aries. She is currently 58 years old. Learn all the details about Sarah Jessica Parker's birth chart by reading more below. Astrology Birth Chart of Sarah Jessica Parker Planetary Positions* Sun — 4° Aries; Moon — 11° Capricorn

Birth Chart Sarah Jessica Parker (Aries) Zodiac Sign Astrology

Inserted here: calculated crystals
- - -
For AcLaSm2Er4, a cell relaxed with GGA-PBE gives the computed powder XRD pattern in this record (Cu Ka).
Peak positions follow from Bragg's law for the DFT cell and can differ from measured ones.

Atomic structure:
```
AcLaSm2Er4
1.0
7.3475 0.0000 0.0000
-0.0127 7.3723 0.0000
-0.0063 -0.0003 9.9875
Ac La Sm Er
2 2 4 8
Cartesian
0.0000 0.0000 0.0000
-0.0095 3.6860 4.9937
-0.0031 -0.0002 4.9937
3.6706 -0.0002 4.9937
-0.0063 3.6862 0.0000
3.6738 0.0000 0.0000
3.6674 3.6862 0.0000
3.6643 3.6860 4.9937
1.8730 1.8611 7.5141
1.8773 1.8632 2.4735
1.8693 5.5116 2.4735
1.8653 5.5108 7.5145
5.4633 1.8612 2.4730
5.4592 1.8604 7.5140
5.4512 5.5088 7.5140
5.4556 5.5109 2.4734
```

The 10 most intense peaks (10 to 90 degrees two-theta), by angle:
| (hkl) | Position (°2θ) | Rel. int. |
| --- | --- | --- |
| 0 2 2 | 30.17 | 100 |
| 2 2 0 | 34.47 | 35 |
| 0 0 4 | 35.97 | 16 |
| 0 4 0 | 49.45 | 6 |
| 2 2 4 | 50.67 | 24 |
| 2 4 2 | 59.05 | 15 |
| 4 2 -2 | 59.15 | 11 |
| 0 2 6 | 61.10 | 14 |
| 0 4 4 | 62.65 | 6 |
| 2 4 6 | 82.36 | 7 |

=====

# Si3N4
Theoretical PXRD pattern, copper Kα. Input: DFT lattice parameters and positions (PBE).

Top 6 peaks for 2θ from 10° to 80°, sorted by position:
13.79 deg, d 6.422, I = 100; 19.82 deg, d 4.479, I = 97; 31.84 deg, d 2.810, I = 45; 37.04 deg, d 2.427, I = 65; 39.84 deg, d 2.263, I = 53; 57.83 deg, d 1.594, I = 37

Atomic structure:
Cell: 7.415 7.415 6.251 Å, 90.00 90.00 120.00°
Positions (direct):
Si (0.064, 0.827, 0.000)
Si (0.110, 0.489, 0.721)
Si (0.173, 0.237, 0.000)
Si (0.237, 0.173, 0.500)
Si (0.380, 0.890, 0.721)
Si (0.489, 0.110, 0.221)
Si (0.511, 0.620, 0.721)
Si (0.620, 0.511, 0.221)
Si (0.763, 0.936, 0.000)
Si (0.827, 0.064, 0.500)
Si (0.890, 0.380, 0.221)
Si (0.936, 0.763, 0.500)
N (0.000, 0.000, 0.150)
N (0.000, 0.000, 0.353)
N (0.000, 0.000, 0.650)
N (0.000, 0.000, 0.853)
N (0.040, 0.380, 0.989)
N (0.051, 0.696, 0.727)
N (0.304, 0.355, 0.727)
N (0.340, 0.960, 0.989)
N (0.355, 0.304, 0.227)
N (0.380, 0.040, 0.489)
N (0.620, 0.660, 0.989)
N (0.645, 0.949, 0.727)
N (0.660, 0.620, 0.489)
N (0.696, 0.051, 0.227)
N (0.949, 0.645, 0.227)
N (0.960, 0.340, 0.489)

# Si2Sn5N6
Theoretical PXRD pattern, copper Kα. Input: DFT lattice parameters and positions (PBE).

Top 6 peaks for 2θ from 10° to 80°, sorted by position:
17.52 deg, d 5.062, I = 22; 20.69 deg, d 4.293, I = 60; 25.55 deg, d 3.487, I = 50; 29.62 deg, d 3.016, I = 100; 32.94 deg, d 2.719, I = 34; 37.59 deg, d 2.393, I = 24

Atomic structure:
Cell: 5.609 5.609 15.613 Å, 96.57 96.57 88.39°
Positions (direct):
Si (0.054, 0.417, 0.069)
Si (0.417, 0.054, 0.569)
Si (0.583, 0.946, 0.431)
Si (0.946, 0.583, 0.931)
Sn (0.117, 0.707, 0.453)
Sn (0.146, 0.181, 0.351)
Sn (0.181, 0.146, 0.851)
Sn (0.293, 0.883, 0.047)
Sn (0.448, 0.552, 0.250)
Sn (0.552, 0.448, 0.750)
Sn (0.707, 0.117, 0.953)
Sn (0.819, 0.854, 0.149)
Sn (0.854, 0.819, 0.649)
Sn (0.883, 0.293, 0.547)
N (0.017, 0.872, 0.915)
N (0.128, 0.983, 0.585)
N (0.172, 0.636, 0.151)
N (0.201, 0.418, 0.974)
- - -
So much for the calculated crystals

Sarah Jessica Parker (born March 25, 1965) is an American actress, model, singer and producer.She is known for her leading role as Carrie Bradshaw on the HBO television series Sex and the City (1998-2004), for which she won four Golden Globe Awards,.. Sarah Jessica Parker's birth chart shows her strength. Sarah Jessica Parker was born on March 25, 1965. This makes her an Aries Sun with a Capricorn Moon. Her natal chart is predominantly composed of Fire and Earth—meaning that she's someone who can take her passion and harness it into action almost effortlessly. She's as much a. This is the birth data that we used to calculate the natal chart and to prepare Astro Profile interpretation for Sarah Jessica Parker: . Birthday: March 25, 1965 Time of birth: 12:00 (Unknown) Place of birth: Nelsonville, Ohio, United States Sarah Jessica Parker was born on March 25, 1965. That makes her an Aries Sun with a Capricorn Moon. Her natal chart is predominantly composed of Fire and Earth — meaning that she's.

Natal Chart Symbols Meaning Gambaran

Sarah Jessica Parker Celebrity Zodiac Signs > aries > Sarah Jessica Parker Sarah Jessica Parker March 25 | aries Actress Sarah Jessica Parker is another Aries who shines in the spotlight, whether as the lead on camera on Sex and the City or behind the scenes as an executive producer. Photo: David Shankbone Other Aries Celebrities Reese Witherspoon 58 years old Zodiac Sign: Aries Moon Sign: Capricorn Rising Sign: Gemini Chinese Zodiac: Wood Snake Numerology: Life Path 4 Birthplace: Nelsonville, OH Profession: actress Best Known For: Sex and the City (HBO) Height: 5′ 4″ MBTI Type: ESFJ Sarah Jessica Parker (born March 25, 1965) is an American actress, producer, and designer.